Data:
┌──
# 1
Compound: BaDyNbSnO6
Source: the Materials Project database
Functional: GGA-PBE
Structure: optimized geometry

Symmetry: P222, No. 16
Energy of formation: -3.009 eV per atom
E (MP2020): -321.67 eV per cell
Calculated density: 6.7 g/cm3

Unit cell a=8.433 b=8.435 c=8.475 alpha=90.00 beta=90.00 gamma=90.00
Fractional coordinates of all 40 atoms:
Ba1 0.000 0.000 0.000
Ba2 0.000 0.000 0.500
Ba3 0.500 0.000 0.000
Ba4 0.500 0.500 0.000
Dy1 0.250 0.255 0.745
Dy2 0.250 0.745 0.255
Dy3 0.750 0.255 0.255
Dy4 0.750 0.745 0.745
Nb1 0.253 0.250 0.254
Nb2 0.253 0.750 0.746
Nb3 0.747 0.250 0.746
Nb4 0.747 0.750 0.254
Sn1 0.000 0.500 0.000
Sn2 0.000 0.500 0.500
Sn3 0.500 0.000 0.500
Sn4 0.500 0.500 0.500
O1 0.015 0.283 0.292
O2 0.015 0.717 0.708
O3 0.217 0.286 0.015
O4 0.217 0.714 0.985
O5 0.223 0.014 0.225
O6 0.223 0.986 0.775
O7 0.285 0.209 0.487
O8 0.285 0.791 0.513
O9 0.290 0.486 0.289
O10 0.290 0.514 0.711
O11 0.487 0.230 0.217
O12 0.487 0.770 0.783
O13 0.513 0.230 0.783
O14 0.513 0.770 0.217
O15 0.710 0.486 0.711
O16 0.710 0.514 0.289
O17 0.715 0.209 0.513
O18 0.715 0.791 0.487
O19 0.777 0.014 0.775
O20 0.777 0.986 0.225
O21 0.783 0.286 0.985
O22 0.783 0.714 0.015
O23 0.985 0.283 0.708
O24 0.985 0.717 0.292



# 2
Compound: BaDyNbSnO6
Source: the Materials Project database
Functional: GGA-PBE
Structure: optimized geometry

Symmetry: P-1, No. 2
Energy of formation: -3.011 eV per atom
E (MP2020): -160.88 eV per cell
Calculated density: 6.7 g/cm3

Unit cell a=5.937 b=5.973 c=8.491 alpha=90.38 beta=90.12 gamma=90.70
Fractional coordinates of all 20 atoms:
Ba1 0.004 0.019 0.249
Ba2 0.996 0.981 0.751
Dy1 0.000 0.500 0.000
Dy2 0.500 0.000 0.500
Nb1 0.000 0.500 0.500
Nb2 0.500 0.000 0.000
Sn1 0.497 0.486 0.753
Sn2 0.503 0.514 0.247
O1 0.092 0.497 0.736
O2 0.197 0.771 0.473
O3 0.227 0.801 0.020
O4 0.268 0.299 0.449
O5 0.304 0.276 0.043
O6 0.446 0.029 0.764
O7 0.554 0.971 0.236
O8 0.696 0.724 0.957
O9 0.732 0.701 0.551
O10 0.773 0.199 0.980
O11 0.803 0.229 0.527
O12 0.908 0.503 0.264



# 3
Compound: BaDyNbSnO6
Source: the Materials Project database
Functional: GGA-PBE
Structure: optimized geometry

Symmetry: F-43m, No. 216
Energy of formation: -2.973 eV per atom
E (MP2020): -80.05 eV per cell
Calculated density: 6.6 g/cm3

Unit cell a=6.009 b=6.009 c=6.009 alpha=60.00 beta=60.00 gamma=60.00
Fractional coordinates of all 10 atoms:
Ba1 0.000 0.000 0.000
Dy1 0.250 0.250 0.250
Nb1 0.750 0.750 0.750
Sn1 0.500 0.500 0.500
O1 0.513 0.513 0.987
O2 0.513 0.987 0.513
O3 0.513 0.987 0.987
O4 0.987 0.513 0.513
O5 0.987 0.513 0.987
O6 0.987 0.987 0.513



# 4
Compound: BaSrDyNbO6
Source: the Materials Project database
Functional: GGA-PBE
Structure: optimized geometry

Symmetry: P-1, No. 2
Energy of formation: -3.456 eV per atom
E (MP2020): -165.12 eV per cell
Calculated density: 6.3 g/cm3

Unit cell a=5.973 b=5.978 c=8.460 alpha=90.23 beta=90.15 gamma=90.50
Fractional coordinates of all 20 atoms:
Ba1 0.004 0.019 0.250
Ba2 0.996 0.981 0.750
Sr1 0.497 0.523 0.251
Sr2 0.503 0.477 0.749
Dy1 0.000 0.500 0.500
Dy2 0.500 0.000 0.000
Nb1 0.000 0.500 0.000
Nb2 0.500 0.000 0.500
O1 0.067 0.506 0.764
O2 0.209 0.763 0.031
O3 0.238 0.789 0.470
O4 0.268 0.295 0.034
O5 0.297 0.270 0.468
O6 0.446 0.015 0.736
O7 0.554 0.985 0.264
O8 0.703 0.730 0.532
O9 0.732 0.705 0.966
O10 0.762 0.211 0.530
O11 0.791 0.237 0.969
O12 0.933 0.494 0.236



# 5
Compound: BaSrDyNbO6
Source: the Materials Project database
Functional: GGA-PBE
Structure: optimized geometry

Symmetry: F-43m, No. 216
Energy of formation: -3.432 eV per atom
E (MP2020): -82.32 eV per cell
Calculated density: 6.2 g/cm3

Unit cell a=6.012 b=6.012 c=6.012 alpha=60.00 beta=60.00 gamma=60.00
Fractional coordinates of all 10 atoms:
Ba1 0.000 0.000 0.000
Sr1 0.500 0.500 0.500
Dy1 0.750 0.750 0.750
Nb1 0.250 0.250 0.250
O1 0.013 0.013 0.487
O2 0.013 0.487 0.013
O3 0.013 0.487 0.487
O4 0.487 0.013 0.013
O5 0.487 0.013 0.487
O6 0.487 0.487 0.013



# 6
Compound: BaSrDyNbO6
Source: the Materials Project database
└──

Request:
Now count the lines above that contain the word "O10" and give the number alone.

Result:
3